# Brief
It remains to find the line below that holds "0.460", then restate that line and all lines after it there.

# Given
........
Sb2H3NF11 | PBE | relaxed

Formation enthalpy at 0 K ... -2.14 eV per atom
Symmetry ... P-1

a b c (Å): 6.765 8.582 8.627
angles (deg): 76.99 72.22 70.95
Sites, in units of the cell vectors:
Sb 0.623 0.640 0.680
Sb 0.377 0.360 0.320
Sb 0.799 0.128 0.770
Sb 0.201 0.872 0.230
H 0.190 0.358 0.982
H 0.810 0.642 0.018
H 0.072 0.477 0.828
H 0.928 0.523 0.172
H 0.936 0.358 0.983
H 0.064 0.642 0.017
N 0.044 0.430 0.953
N 0.956 0.570 0.047
F 0.533 0.873 0.667
F 0.467 0.127 0.333
F 0.640 0.632 0.460
F 0.360 0.368 0.540
F 0.338 0.613 0.759
F 0.662 0.387 0.241
F 0.928 0.611 0.637
F 0.072 0.389 0.363
F 0.636 0.602 0.907
F 0.364 0.398 0.093
F 0.779 0.118 0.560
F 0.221 0.882 0.440
F 0.089 0.136 0.686
F 0.911 0.864 0.314
F 0.864 0.895 0.844
F 0.136 0.105 0.156
F 0.495 0.164 0.858
F 0.505 0.836 0.142
F 0.814 0.188 0.968
F 0.186 0.812 0.032
F 0.718 0.385 0.699
F 0.282 0.615 0.301



SbH6N2F5 | PBE | relaxed

Formation enthalpy at 0 K ... -1.44 eV per atom
Symmetry ... Pnma

a b c (Å): 5.867 7.009 13.058
angles (deg): 90.00 90.00 90.00
Sites, in units of the cell vectors:
Sb 0.398 0.485 0.750
Sb 0.898 0.015 0.750
Sb 0.602 0.515 0.250
Sb 0.102 0.985 0.250
H 0.255 0.027 0.006
H 0.755 0.473 0.494
H 0.745 0.973 0.506
H 0.245 0.527 0.994
H 0.745 0.973 0.994
H 0.245 0.527 0.506
H 0.255 0.027 0.494
H 0.755 0.473 0.006
H 0.427 0.090 0.906
H 0.927 0.410 0.594
H 0.573 0.910 0.406
H 0.073 0.590 0.094
H 0.573 0.910 0.094
H 0.073 0.590 0.406
H 0.427 0.090 0.594
H 0.927 0.410 0.906
H 0.402 0.847 0.935
H 0.902 0.653 0.565
H 0.598 0.153 0.435
H 0.098 0.347 0.065
H 0.598 0.153 0.065
H 0.098 0.347 0.435
H 0.402 0.847 0.565
H 0.902 0.653 0.935
N 0.405 0.991 0.965
N 0.905 0.509 0.535
N 0.595 0.009 0.465
N 0.095 0.491 0.035
N 0.595 0.009 0.035
N 0.095 0.491 0.465
N 0.405 0.991 0.535
N 0.905 0.509 0.965
F 0.095 0.606 0.750
F 0.595 0.894 0.750
F 0.905 0.394 0.250
F 0.405 0.106 0.250
F 0.256 0.292 0.651
F 0.756 0.208 0.849
F 0.744 0.708 0.151
F 0.244 0.792 0.349
F 0.744 0.708 0.349
F 0.244 0.792 0.151
F 0.256 0.292 0.849
F 0.756 0.208 0.651
F 0.411 0.634 0.911
F 0.911 0.866 0.589
F 0.589 0.366 0.411
F 0.089 0.134 0.089
F 0.589 0.366 0.089
F 0.089 0.134 0.411
F 0.411 0.634 0.589
F 0.911 0.866 0.911
........

# Outcome
F 0.640 0.632 0.460
F 0.360 0.368 0.540
F 0.338 0.613 0.759
F 0.662 0.387 0.241
F 0.928 0.611 0.637
F 0.072 0.389 0.363
F 0.636 0.602 0.907
F 0.364 0.398 0.093
F 0.779 0.118 0.560
F 0.221 0.882 0.440
F 0.089 0.136 0.686
F 0.911 0.864 0.314
F 0.864 0.895 0.844
F 0.136 0.105 0.156
F 0.495 0.164 0.858
F 0.505 0.836 0.142
F 0.814 0.188 0.968
F 0.186 0.812 0.032
F 0.718 0.385 0.699
F 0.282 0.615 0.301



SbH6N2F5 | PBE | relaxed

Formation enthalpy at 0 K ... -1.44 eV per atom
Symmetry ... Pnma

a b c (Å): 5.867 7.009 13.058
angles (deg): 90.00 90.00 90.00
Sites, in units of the cell vectors:
Sb 0.398 0.485 0.750
Sb 0.898 0.015 0.750
Sb 0.602 0.515 0.250
Sb 0.102 0.985 0.250
H 0.255 0.027 0.006
H 0.755 0.473 0.494
H 0.745 0.973 0.506
H 0.245 0.527 0.994
H 0.745 0.973 0.994
H 0.245 0.527 0.506
H 0.255 0.027 0.494
H 0.755 0.473 0.006
H 0.427 0.090 0.906
H 0.927 0.410 0.594
H 0.573 0.910 0.406
H 0.073 0.590 0.094
H 0.573 0.910 0.094
H 0.073 0.590 0.406
H 0.427 0.090 0.594
H 0.927 0.410 0.906
H 0.402 0.847 0.935
H 0.902 0.653 0.565
H 0.598 0.153 0.435
H 0.098 0.347 0.065
H 0.598 0.153 0.065
H 0.098 0.347 0.435
H 0.402 0.847 0.565
H 0.902 0.653 0.935
N 0.405 0.991 0.965
N 0.905 0.509 0.535
N 0.595 0.009 0.465
N 0.095 0.491 0.035
N 0.595 0.009 0.035
N 0.095 0.491 0.465
N 0.405 0.991 0.535
N 0.905 0.509 0.965
F 0.095 0.606 0.750
F 0.595 0.894 0.750
F 0.905 0.394 0.250
F 0.405 0.106 0.250
F 0.256 0.292 0.651
F 0.756 0.208 0.849
F 0.744 0.708 0.151
F 0.244 0.792 0.349
F 0.744 0.708 0.349
F 0.244 0.792 0.151
F 0.256 0.292 0.849
F 0.756 0.208 0.651
F 0.411 0.634 0.911
F 0.911 0.866 0.589
F 0.589 0.366 0.411
F 0.089 0.134 0.089
F 0.589 0.366 0.089
F 0.089 0.134 0.411
F 0.411 0.634 0.589
F 0.911 0.866 0.911